(Job)
It remains to restate the whole of the data further down exactly.
(Contents)
# C25H30N10OS2Ti

A molecular structure, C25H30N10OS2Ti at a distorted geometry (ωB97M-V/def2-TZVPD, the OMol25 dataset).

Properties
LUMO energy (spin up / spin down) ... -6.560 / -7.085 eV
HOMO (spin up / spin down) ... -13.37 / -13.43 eV
Orbital gap (spin up / spin down) ... 6.82 / 6.34 eV
2S+1 ... 3
Energy relative to the best compared isomer or geometry (same formula, charge and spin) ... 50.22 kJ/mol
Calculated total energy ... -3238.86699 Eh
Total charge ... +2

Each line ends with the Löwdin charge.
Positions of all 69 atoms, in Å:
C  1.074  -6.308  0.023  -0.037
C  0.935  -3.948  0.123  -0.119
N  1.139  -3.982  -4.325  0.114
C  2.821  -0.724  0.320  -0.296
S  -2.523  -0.119  -0.651  0.940
H  -0.337  2.535  1.147  0.090
N  1.953  0.202  0.815  -0.006
N  -1.036  1.719  -2.647  -0.086
H  1.636  -7.213  -0.165  0.117
C  1.688  -5.071  -0.149  0.013
C  -0.999  -5.267  0.735  0.020
C  3.766  1.744  1.141  -0.026
H  -0.049  1.424  3.180  0.112
Ti  -0.049  0.067  0.234  0.883
C  4.177  -0.406  0.182  0.023
H  -2.623  -1.024  -2.772  0.030
C  -2.148  1.049  -3.295  -0.225
C  -1.280  3.015  -2.032  -0.184
N  2.476  -2.028  -0.023  0.200
H  1.744  2.077  1.693  0.102
C  1.302  -2.521  0.134  -0.295
H  4.100  2.707  1.498  0.124
H  0.590  3.109  -0.939  0.118
H  -2.341  3.111  -1.804  0.108
H  -0.259  1.795  -3.288  0.114
C  -0.248  -6.404  0.455  -0.034
N  0.174  -1.809  0.511  -0.030
H  2.310  -1.063  -3.780  0.073
H  2.717  -4.991  -0.474  0.125
H  -4.062  1.140  0.641  0.090
H  -0.670  4.220  -0.386  0.133
C  -1.858  0.891  4.168  -0.037
H  -2.617  3.389  0.553  0.136
H  0.344  -4.559  -4.112  0.104
N  -0.944  -0.185  2.226  0.012
H  -2.371  2.158  1.769  0.096
N  -1.846  -2.364  1.622  0.181
H  -2.025  -5.333  1.073  0.128
N  0.728  0.180  -1.457  -0.157
H  -1.767  0.531  -4.172  0.120
H  -3.696  -1.803  3.248  0.132
C  -2.936  -1.034  3.247  0.024
H  -0.690  -7.382  0.593  0.118
C  -2.931  -0.009  4.160  -0.010
H  4.823  -1.168  -0.229  0.130
H  -3.720  1.902  -0.899  0.080
C  -0.382  -4.046  0.566  -0.097
S  -0.078  -2.185  -2.828  0.699
C  -0.480  3.207  -0.749  -0.156
H  5.695  1.072  0.445  0.129
H  -3.948  0.094  -2.490  0.089
H  -1.034  3.842  -2.704  0.139
C  -0.909  0.762  3.195  -0.142
H  -3.723  0.076  4.893  0.128
C  1.176  -2.743  -3.836  -0.875
H  1.829  -4.335  -4.968  0.122
C  4.650  0.822  0.571  -0.006
C  -2.867  -0.020  -2.427  -0.398
H  -1.772  1.666  4.917  0.125
C  -3.260  1.423  -0.038  -0.370
C  -2.294  2.357  0.705  -0.215
C  -1.900  -1.152  2.313  -0.320
C  -0.827  -2.682  0.913  -0.269
O  1.623  0.507  -2.112  0.056
N  -0.857  2.228  0.325  -0.138
H  -2.894  1.768  -3.647  0.124
H  2.966  -2.319  -4.760  0.122
C  2.451  1.394  1.239  -0.114
N  2.216  -1.974  -4.185  0.122

Cartesian forces (eV/Å) of the 6 atoms listed first:
-0.04 0.00 0.02
0.05 0.12 -0.09
0.03 -0.06 -0.02
-0.15 -0.38 0.07
-0.06 0.04 -0.01
-0.11 0.15 0.03


A 2-piece molecular cluster, C3H5NS overall in a non-equilibrium geometry. Source: the OMol25 dataset; level of theory: wB97M-V/def2-TZVPD.

The highest occupied orbital energy is -9.109 eV. The energy above the lowest of the compared OMol25 structures with the same formula, charge and spin comes out at 294.6 kJ/mol. The HOMO-LUMO gap is 0.3345 Eh. As for the net charge: 0.

Each line ends with the Löwdin charge.
CARTESIAN COORDINATES (ANGSTROEM)
C  -0.8771  0.9591  0.3929  -0.365
C  1.4097  -0.0332  -0.6979  -0.482
C  -1.5604  -0.2542  0.0395  -0.122
N  -0.4149  1.9984  0.4516  0.144
S  2.6918  -0.2921  0.2793  0.743
H  2.1367  -1.3285  0.9524  -0.127
H  1.7678  0.8403  -1.2529  -0.064
H  -1.5935  -0.3501  -1.0624  0.088
H  -0.9724  -1.1659  0.3535  0.080
H  -2.5878  -0.3737  0.5441  0.106

Forces on atoms 1 to 6 (eV/Å):
C -0.70 -0.46 -0.60
C 0.16 0.28 -0.51
C -0.94 -2.52 0.69
N 0.67 1.17 0.54
S -0.18 -0.57 0.66
H 0.51 -0.06 0.17
(Response)
# C25H30N10OS2Ti

A molecular structure, C25H30N10OS2Ti at a distorted geometry (ωB97M-V/def2-TZVPD, the OMol25 dataset).

Properties
LUMO energy (spin up / spin down) ... -6.560 / -7.085 eV
HOMO (spin up / spin down) ... -13.37 / -13.43 eV
Orbital gap (spin up / spin down) ... 6.82 / 6.34 eV
2S+1 ... 3
Energy relative to the best compared isomer or geometry (same formula, charge and spin) ... 50.22 kJ/mol
Calculated total energy ... -3238.86699 Eh
Total charge ... +2

Each line ends with the Löwdin charge.
Positions of all 69 atoms, in Å:
C  1.074  -6.308  0.023  -0.037
C  0.935  -3.948  0.123  -0.119
N  1.139  -3.982  -4.325  0.114
C  2.821  -0.724  0.320  -0.296
S  -2.523  -0.119  -0.651  0.940
H  -0.337  2.535  1.147  0.090
N  1.953  0.202  0.815  -0.006
N  -1.036  1.719  -2.647  -0.086
H  1.636  -7.213  -0.165  0.117
C  1.688  -5.071  -0.149  0.013
C  -0.999  -5.267  0.735  0.020
C  3.766  1.744  1.141  -0.026
H  -0.049  1.424  3.180  0.112
Ti  -0.049  0.067  0.234  0.883
C  4.177  -0.406  0.182  0.023
H  -2.623  -1.024  -2.772  0.030
C  -2.148  1.049  -3.295  -0.225
C  -1.280  3.015  -2.032  -0.184
N  2.476  -2.028  -0.023  0.200
H  1.744  2.077  1.693  0.102
C  1.302  -2.521  0.134  -0.295
H  4.100  2.707  1.498  0.124
H  0.590  3.109  -0.939  0.118
H  -2.341  3.111  -1.804  0.108
H  -0.259  1.795  -3.288  0.114
C  -0.248  -6.404  0.455  -0.034
N  0.174  -1.809  0.511  -0.030
H  2.310  -1.063  -3.780  0.073
H  2.717  -4.991  -0.474  0.125
H  -4.062  1.140  0.641  0.090
H  -0.670  4.220  -0.386  0.133
C  -1.858  0.891  4.168  -0.037
H  -2.617  3.389  0.553  0.136
H  0.344  -4.559  -4.112  0.104
N  -0.944  -0.185  2.226  0.012
H  -2.371  2.158  1.769  0.096
N  -1.846  -2.364  1.622  0.181
H  -2.025  -5.333  1.073  0.128
N  0.728  0.180  -1.457  -0.157
H  -1.767  0.531  -4.172  0.120
H  -3.696  -1.803  3.248  0.132
C  -2.936  -1.034  3.247  0.024
H  -0.690  -7.382  0.593  0.118
C  -2.931  -0.009  4.160  -0.010
H  4.823  -1.168  -0.229  0.130
H  -3.720  1.902  -0.899  0.080
C  -0.382  -4.046  0.566  -0.097
S  -0.078  -2.185  -2.828  0.699
C  -0.480  3.207  -0.749  -0.156
H  5.695  1.072  0.445  0.129
H  -3.948  0.094  -2.490  0.089
H  -1.034  3.842  -2.704  0.139
C  -0.909  0.762  3.195  -0.142
H  -3.723  0.076  4.893  0.128
C  1.176  -2.743  -3.836  -0.875
H  1.829  -4.335  -4.968  0.122
C  4.650  0.822  0.571  -0.006
C  -2.867  -0.020  -2.427  -0.398
H  -1.772  1.666  4.917  0.125
C  -3.260  1.423  -0.038  -0.370
C  -2.294  2.357  0.705  -0.215
C  -1.900  -1.152  2.313  -0.320
C  -0.827  -2.682  0.913  -0.269
O  1.623  0.507  -2.112  0.056
N  -0.857  2.228  0.325  -0.138
H  -2.894  1.768  -3.647  0.124
H  2.966  -2.319  -4.760  0.122
C  2.451  1.394  1.239  -0.114
N  2.216  -1.974  -4.185  0.122

Cartesian forces (eV/Å) of the 6 atoms listed first:
-0.04 0.00 0.02
0.05 0.12 -0.09
0.03 -0.06 -0.02
-0.15 -0.38 0.07
-0.06 0.04 -0.01
-0.11 0.15 0.03


A 2-piece molecular cluster, C3H5NS overall in a non-equilibrium geometry. Source: the OMol25 dataset; level of theory: wB97M-V/def2-TZVPD.

The highest occupied orbital energy is -9.109 eV. The energy above the lowest of the compared OMol25 structures with the same formula, charge and spin comes out at 294.6 kJ/mol. The HOMO-LUMO gap is 0.3345 Eh. As for the net charge: 0.

Each line ends with the Löwdin charge.
CARTESIAN COORDINATES (ANGSTROEM)
C  -0.8771  0.9591  0.3929  -0.365
C  1.4097  -0.0332  -0.6979  -0.482
C  -1.5604  -0.2542  0.0395  -0.122
N  -0.4149  1.9984  0.4516  0.144
S  2.6918  -0.2921  0.2793  0.743
H  2.1367  -1.3285  0.9524  -0.127
H  1.7678  0.8403  -1.2529  -0.064
H  -1.5935  -0.3501  -1.0624  0.088
H  -0.9724  -1.1659  0.3535  0.080
H  -2.5878  -0.3737  0.5441  0.106

Forces on atoms 1 to 6 (eV/Å):
C -0.70 -0.46 -0.60
C 0.16 0.28 -0.51
C -0.94 -2.52 0.69
N 0.67 1.17 0.54
S -0.18 -0.57 0.66
H 0.51 -0.06 0.17